Calling upon your wisdom


Ok for the pst few months i have been going wide open with the lawn care stuff, and Jessica has been ery busy with the home day care stuff. Jake is with her all day and i make sure ot spend a min of a hour a day with him, doing what ever he wants. Now the problem is Jesica and i have no time for each other. I understand she is watching kids till 7pm at night 6 nights a week, and she knows that even tho I am home, I usualy work untill midnight 5 days a week. SO needless to say our time together has been very limited. We Keeps Sundays open for family day usualy its go see her mom, my mom, then to my dads, a quick trip to dinner and go home ot get ready for the week. What is suffering is "our" time together. It seems we dont get 5 mins alone anymore. Our shedules never mesh, and i want ot do something realy sweet for her. Kind of to say " Hey i know you work hard and I love you for it".. I tohguth flowers, but no, they die, I thoght some chocolate but it wont last long. Even a card, but I think its to cheesey.. Going out is not a option as we dont have time right now, and taking a vacation wont happen till next Oct.

So any ideas I can use here? Nothing to big, but something that says I love you and were doing fine.

Oh and not a Vermont Teddy Bear, I have bought her 3 a year for the past 5 years.
Take the kids to their grandparents, and on Sat night when all the daycare kids are gone, make her a nice warm bath to soak in while cooking her a nice romantic dinner to eat by candle light. Once dinner is over, sit with each other over some drinks and just talk. Then just let the night lead to whatever happens.
Look don't take this the wrong way as a matter fact let me not post it :whistle: Diamonds are expensive an time between you is tight pm sent.. as matter of fact nevermind forgert the whole thing it could be easily taken the wrong way or improper..:laugh: Good luck:thumbsup: Sorry there is no easy or non vulgar way to type it.
Untill you can make time leave notes lots of notes. Where only she can find them. You know the kind.:thumbsup:
Tell her....randomly...out of the blue....dont wait till you Find the time...just tell her....GO..right now...then find the time...and do all the things they mentioned...send her a letter in the mail with no return address..leave her notes....most important. tell her right now!:thumbsup:
good on you for recognizing the need.... now damn the finances and make time for each other..
Forget material gifts...
Our society thinks that is the only way to express your love. Instead, demonstrate your affection in a way that she will enjoy. If that means coming in for a moment while the kid is watching a video, do that. Maybe you can come together for a regular meeting in the shower or another random time she may be able to take a private break.
As far as a vacation, you don't have to block out a week or two in your schedule. Just clear a couple of days once in a while for a jaunt to a spa, bed&breakfast or even a raunchy motor lodge. Sometimes the short bits of quality time mean more than a big production that may inevitably stress you out making it happen.
Being business owners makes it tuff in the start. There will be a time when the busness will run its self. Till then..... take the youngster to gramma's house saturday nite and get away with her for the evening... Dinner and nice hotel..... Short trip....She would love to just get away , even for a short time...

just a thought

┌──
# AcF3 | Materials Project | PBE | relaxed
# ΔE_f (meV/atom): -4408
# Electronic total energy (eV for the cell shown): -104.45
data_AcF3
_symmetry_space_group_name_H-M 'F m -3 m'
_symmetry_Int_Tables_number 225
_symmetry_space_group_name_Hall '-F 4 2 3'
_cell_length_a 6.043
_cell_length_b 6.043
_cell_length_c 6.043
_cell_angle_alpha 90.00
_cell_angle_beta 90.00
_cell_angle_gamma 90.00
loop_
_atom_site_label
_atom_site_type_symbol
_atom_site_fract_x
_atom_site_fract_y
_atom_site_fract_z
_atom_site_occupancy
Ac1 Ac 0.000 0.000 0.000 1
F1 F 0.000 0.000 0.500 1
F2 F 0.250 0.250 0.250 1

=====

# AcF3 | Materials Project | PBE | relaxed
# ΔE_f (meV/atom): -4413
# Electronic total energy (eV for the cell shown): -52.26
data_AcF3
_symmetry_space_group_name_H-M 'I 4/m m m'
_symmetry_Int_Tables_number 139
_symmetry_space_group_name_Hall '-I 4 2'
_cell_length_a 4.007
_cell_length_b 4.007
_cell_length_c 6.893
_cell_angle_alpha 90.00
_cell_angle_beta 90.00
_cell_angle_gamma 90.00
loop_
_atom_site_label
_atom_site_type_symbol
_atom_site_fract_x
_atom_site_fract_y
_atom_site_fract_z
_atom_site_occupancy
Ac1 Ac 0.000 0.000 0.000 1
F1 F 0.000 0.000 0.500 1
F2 F 0.000 0.500 0.250 1

=====

# AcOF | Materials Project | PBE | relaxed
# Largest piezoelectric modulus (C/m2): 0.85
# ΔE_f (meV/atom): -4159
# Electronic total energy (eV for the cell shown): -89.25
data_AcOF
_symmetry_space_group_name_H-M 'F -4 3 m'
_symmetry_Int_Tables_number 216
_symmetry_space_group_name_Hall 'F -4 2 3'
_cell_length_a 5.976
_cell_length_b 5.976
_cell_length_c 5.976
_cell_angle_alpha 90.00
_cell_angle_beta 90.00
_cell_angle_gamma 90.00
loop_
_atom_site_label
_atom_site_type_symbol
_atom_site_fract_x
_atom_site_fract_y
_atom_site_fract_z
_atom_site_occupancy
Ac1 Ac 0.000 0.000 0.000 1
O1 O 0.250 0.250 0.750 1
F1 F 0.250 0.250 0.250 1

=====

# AcGa3 | Materials Project | PBE | relaxed
# ΔE_f (meV/atom): -532
# Electronic total energy (eV for the cell shown): -30.67
data_AcGa3
_symmetry_space_group_name_H-M 'P 63/m m c'
_symmetry_Int_Tables_number 194
_symmetry_space_group_name_Hall '-P 6c 2c'
_cell_length_a 6.8411
_cell_length_b 6.8411
_cell_length_c 4.7050
_cell_angle_alpha 90.00
_cell_angle_beta 90.00
_cell_angle_gamma 120.00
loop_
_atom_site_label
_atom_site_type_symbol
_atom_site_fract_x
_atom_site_fract_y
_atom_site_fract_z
_atom_site_occupancy
Ac1 Ac 0.3333 0.6667 0.2500 1
Ga1 Ga 0.1356 0.2712 0.7500 1

=====

# Ac2InGa | Materials Project | PBE | relaxed
# ΔE_f (meV/atom): -396
# Electronic total energy (eV for the cell shown): -62.43
data_Ac2InGa
_symmetry_space_group_name_H-M 'F m -3 m'
_symmetry_Int_Tables_number 225
_symmetry_space_group_name_Hall '-F 4 2 3'
_cell_length_a 8.078
_cell_length_b 8.078
_cell_length_c 8.078
_cell_angle_alpha 90.00
_cell_angle_beta 90.00
_cell_angle_gamma 90.00
loop_
_atom_site_label
_atom_site_type_symbol
_atom_site_fract_x
_atom_site_fract_y
_atom_site_fract_z
_atom_site_occupancy
Ac1 Ac 0.250 0.250 0.250 1
In1 In 0.000 0.000 0.000 1
└──

good luck:thumbsup:
Go to a romantic place of significance (i.e. place you proposed, fav overlook, etc) set up the camera and record yourself either citing her a poem written by you or just talk to the camera as if it were her, sharing what you love best about her and how much you appreciate her. I did something similiar for my wife when we were going through the same thing and it seemed to help drastically. That was years ago and she still mentions it to her friends. I think she also gets the video out and watches it sometimes when I'm away on business. :thumbsup:
Go to a romantic place of significance (i.e. place you proposed, fav overlook, etc) set up the camera and record yourself either citing her a poem written by you or just talk to the camera as if it were her, sharing what you love best about her and how much you appreciate her. I did something similiar for my wife when we were going through the same thing and it seemed to help drastically. That was years ago and she still mentions it to her friends. I think she also gets the video out and watches it sometimes when I'm away on business. :thumbsup:

Thats nice and thoughtful but you could also just give her smart slap on the rump and exclaim aloud "your a good ole girl"! Oh wait! - that's the praise routine for our milk cow.

and as Joe Pesci says:

OK ok ok ok Ok ok ok Ok.

Here's the right answer...

Start vacuuming (or what ever she does) and when she ask you what are you're doing just answer, I appreciate everything you do and wanted to help with your work so we can spend a little time together talking and planning our future.

No down-side to this plan...
Tell her....randomly...out of the blue....dont wait till you Find the time...just tell her....GO..right now...then find the time...and do all the things they mentioned...send her a letter in the mail with no return address..leave her notes....most important. tell her right now!:thumbsup:

Having recently lost the love of my life from not talking with her, I have to go with C-Busa here! Notes, are such a great item to use! But start at this EXACT SECOND! If you have finished reading this you are not on the right path!

My best wishes for you man!